Japanese Tea and Health

Tea has been touted for its health benefits and medicinal properties for centuries. Since tea’s legendary discovery nearly 5,000 years ago by Chinese Emperor Shen Nong; to Japan’s early promoter of tea, the Zen monk Eisai in his 1214 “Kissa Yojiki” (Health Benefits of Tea,) to numerous scientific studies conducted in recent decades, to voluminous information on the Internet today; the claims regarding health benefits associated with drinking this simple beverage of leaves and hot water are nothing less than amazing. Tea’s recent surge in popularity in both the West and in Asia has mainly been connected to this interest in tea and health. With claims to curing everything from bad breath to cancer, we thought it best to put together some brief information and links to references that can assist tea consumers in making their own conclusions regarding the health benefits associated with enjoying Japanese green tea.
Tea’s Role in Japan
In both China and Japan, tea was early on regarded as a medicinal drink. It has since become a commonplace beverage in Asia, and the second most popular drink (after water) in the world. Tea in Japan is no exception, and is an integral part of the diet of the country with the longest life-expectancy rates in the industrialized world. It should also be noted that this diet and lifestyle include a lower cholesterol diet featuring Omega-3 rich fish, fresh seasonal local produce, and high physical activity levels. City dwellers may walk an average of an hour a day to and from train stations, a large rural population still engages in small-scale [on foot in the fields, not riding large combines] agricultural work, and it’s not uncommon to see women in their 60’s & 70’s riding bicycles to the supermarket every day for fresh ingredients due to the lack of refrigeration and storage space in the typical Japanese home (a blessing in disguise!) But, also add to this the fact that a large portion of the population engages in excessive consumption of tobacco and alcohol and an increasingly Westernized diet, and is exposed to high levels of stress from overwork and overcrowding. Where does Japanese tea fit into enhancing the good points of the lifestyle and preventing the detrimental effects of the bad?
Green Tea and Disease
The biggest health-related news concerning green tea may be the connection between antioxidants and potential prevention or inhibition of a range of cancers. The antioxidant EGCG (epigallocatechin gallate) has been of particular interest. A 2004 study at Kyushu University showed significant slowing of cancer cell growth related to this antioxidant.[1] The U.S. National Institute of Health’s National Cancer Institute has also done considerable research into catechins, the antioxidants found in tea, and their inhibiting actions on cancer cells.[2] Another study published in 2006 in the Life Science Journal, Carcinogenesis was specific to positive effects against breast cancer of the combination of green tea and tamoxifen.[3]

Green tea research has also been documented concerning cardiovascular disease. The well-known Ohsaki Study (Tohoku University,) published in the Journal of the American Medical Association in 2006, followed a population of 40,530 participants for up to 11 years for death from all causes and up to 7 years for death from specific causes. It found a lower mortality risk (16% for all causes and 26% for cardiovascular disease) among participants who drank five or more cups of Japanese green tea per day.[4] Another 2006 study at Yale University School of Medicine that appeared in the Journal of American College of Surgeons reviewed over 100 studies on the health benefits of green tea. The “Asian Paradox” is what they named the phenomenon concerning lower rates of heart disease and cancer in Asia, despite higher rates of cigarette smoking. The study suggested that high levels of polyphenols and other antioxidants found in green tea may possibly improve cholesterol levels; specifically preventing the oxidation of LDL cholesterol which can reduce the buildup of arterial plaque.[5]
Attached: calculated molecules =
'''
Entry 1:
C26H42BrN4NiO6PS2 as an isolated structure, computed with the ωB97M-V functional and the def2-TZVPD basis.

The energy relative to the best compared isomer or geometry (same formula, charge and spin) comes out at 4.4 kcal per mole. The LUMO energy (alpha / beta) is 0.24 / 0.21 eV. The calculation puts the orbital gap (alpha / beta) at 0.2713 / 0.2703 hartree.

```
! RIJCOSX wB97M-V def2-TZVPD def2/J DEFGRID3
* xyz 0 3
Ni -0.44639 -0.30245 0.78562
C -1.41535 -4.33140 3.21593
N -2.45710 -3.91031 2.32029
C -2.90239 -4.91601 1.39636
C -2.75999 -2.49726 2.18246
C -3.04262 -1.94969 0.80424
N -2.67269 -0.51062 0.68564
C -3.26209 0.30950 1.76076
C -3.30121 0.02617 -0.57860
H -1.58918 -5.40066 3.45582
H -1.29037 -3.75537 4.11980
H -0.42087 -4.34298 2.75855
H -3.83533 -4.62045 0.81381
H -3.19182 -5.80438 1.97339
H -2.10432 -5.23010 0.69335
H -1.93770 -1.96937 2.68521
H -3.60484 -2.26292 2.83923
H -4.14310 -2.00958 0.58526
H -2.54332 -2.55942 0.03333
H -4.36065 0.14273 1.73278
H -3.08211 1.35392 1.52993
H -2.88577 0.03135 2.72930
H -4.40748 0.08495 -0.44936
H -3.02099 -0.59763 -1.43102
H -2.93584 1.03751 -0.71077
Br 2.96577 -4.48614 -4.68785
C 1.59033 -3.55451 -3.84413
C 0.80182 -2.67474 -4.57832
C -0.11545 -1.85380 -3.89855
C -0.16126 -1.86337 -2.51442
C 0.61934 -2.81042 -1.77417
C 1.46209 -3.69355 -2.45765
C 0.51636 -2.85280 -0.25891
O 1.31428 -3.61034 0.33493
O -0.36600 -2.15553 0.30784
H 0.92063 -2.65905 -5.65392
H -0.76679 -1.22298 -4.47032
H -0.81053 -1.16781 -1.96252
H 2.03663 -4.42110 -1.93333
S 0.48604 -0.67311 2.87548
C 0.69802 0.74124 3.83517
N 0.84614 0.64764 5.18197
C 1.29879 1.91449 5.82452
C 1.21258 2.87562 4.65567
N 0.90862 2.01984 3.51333
H 0.83130 -0.25475 5.68734
H 2.32974 1.84655 6.19642
H 0.64601 2.19642 6.66361
H 2.11149 3.44846 4.42505
H 0.39060 3.58986 4.76462
H 0.77437 2.40762 2.55473
C 3.63308 1.22289 -1.51792
P 3.09476 0.08157 -0.21255
C 3.80152 -1.54652 -0.55247
C 3.85661 0.70940 1.28766
O 1.58473 0.03287 -0.13665
H 4.70651 1.30618 -1.63749
H 3.18053 2.19617 -1.32049
H 3.18422 0.94101 -2.47418
H 4.88403 -1.60506 -0.49582
H 3.49248 -1.92246 -1.53439
H 3.35026 -2.26290 0.13106
H 4.94087 0.70739 1.24269
H 3.51771 0.12086 2.15242
H 3.49083 1.72380 1.45733
C -0.08983 4.94121 -5.59830
C -0.22057 4.40972 -4.21095
C 0.09220 3.07926 -3.90195
C 0.11385 2.62688 -2.61635
C -0.29734 3.47615 -1.57736
C -0.66950 4.78918 -1.88124
C -0.69194 5.24180 -3.16996
S -0.49539 2.91970 0.07721
O 0.79205 3.14324 0.76710
O -1.63086 3.65694 0.64313
O -0.80222 1.45760 -0.12111
H 0.06313 4.09755 -6.32039
H 0.74621 5.63004 -5.63944
H -0.98988 5.47739 -5.89096
H 0.23376 2.36565 -4.71149
H 0.37909 1.60684 -2.43262
H -1.07740 5.41882 -1.08468
H -1.10088 6.20755 -3.43772
*
```

=====

Entry 2:
C26H42N3Os as an isolated structure, computed with the ωB97M-V functional and the def2-TZVPD basis.
'''
Since cancer and heart disease are two major contributors to worldwide mortality rates, positive associations with green tea and health in these areas have been significant drivers in green tea’s current popularity. Other areas of interest for researchers that have also suggested potential benefits of tea include: Diabetes, HIV, Arthritis, Stress Reduction, Increased Metabolism & Mental Alertness, Obstructive Sleep Apnea, Inflammatory Bowel Disease, and Halitosis. The list of laboratory and clinical medical studies regarding the health benefits of green tea is truly endless, and one can find many well-cited articles on the Internet.
**Calculated molecules, kept here for reference**
/*
No. 1
59
Properties=species:S:1:pos:R:3:forces:R:3 method="wB97M-V/def2-TZVPD" charge=-2 e_tot_ev=-99384.4738 e_lumo_ha=0.1557 orbital_gap_ha=0.236 max_force_ev_per_a=2.16
H 2.6064 -0.1246 2.7564 0.009 -0.101 -0.192
H 2.8286 4.7226 -1.5278 0.022 0.089 0.007
C 0.9364 -1.2756 2.0988 0.423 -0.811 -0.385
C 4.5450 0.4332 -3.4354 -1.037 0.127 0.621
C 0.9880 0.6830 -1.1999 -0.339 -0.017 -0.046
H 1.1066 -4.5096 3.0886 -0.015 0.036 0.048
H 2.3310 -2.3642 3.3305 0.076 0.086 0.046
S -4.0928 1.2006 0.2337 0.655 0.373 0.380
H 0.4457 4.8884 -0.8641 -0.039 -0.005 -0.079
N -0.1433 -1.3303 1.3284 0.194 -0.075 0.129
H 3.4809 1.9771 1.6720 0.093 -0.099 0.022
C -4.4990 -2.2781 -1.8420 -0.219 -0.122 -0.125
S -1.0932 3.6642 1.0739 -0.506 -0.233 0.277
O -1.9240 1.5012 3.5377 -0.180 0.024 -0.211
C -0.0029 0.8258 -0.5072 -0.122 0.253 0.034
C 0.7440 -3.6067 2.6098 -0.059 0.046 -0.057
C -3.8983 -1.2476 -1.1334 0.534 -0.144 -0.033
C -5.8687 -2.3341 -2.0152 -0.110 -0.135 -0.075
C 3.3132 3.3554 0.0539 0.188 -0.017 0.012
H -1.0124 -4.5343 1.7852 -0.024 -0.007 -0.107
C -4.6687 -0.2126 -0.5819 0.016 -0.054 -0.062
H 2.0572 0.1959 1.0667 0.028 -0.047 0.178
C 3.4214 1.0820 -3.9663 0.283 -0.128 -0.026
H -2.4114 -3.4304 0.1485 0.059 0.006 0.203
C 4.4586 -0.1609 -2.1700 0.208 0.021 -0.279
C -2.1227 -2.4344 0.4930 -0.448 0.009 -0.298
C 2.1620 0.5697 -1.9682 0.220 -0.057 -0.088
C 2.2535 1.1444 -3.2460 -0.059 0.000 0.038
H 5.3279 -0.6637 -1.7645 -0.024 -0.011 0.014
C -0.4207 -3.6321 1.8609 0.026 0.052 0.057
S 0.7904 1.4497 2.6363 0.771 0.712 -0.897
H 3.2237 -0.5784 -0.4904 -0.032 0.015 0.028
C -0.8354 -2.4556 1.2431 0.241 -0.467 -0.049
H -7.7292 -1.3601 -1.5679 -0.054 0.037 0.009
C 0.5984 3.4802 0.7222 -0.058 0.051 0.050
H -6.3180 -3.1447 -2.5770 -0.007 0.003 0.016
C 2.8089 2.5992 1.0972 0.107 -0.033 -0.067
C 1.4562 2.5987 1.4095 -0.050 0.004 0.188
H 3.4899 1.5310 -4.9487 -0.018 0.026 -0.007
H 1.3884 1.6471 -3.6522 -0.055 0.048 0.032
O -2.3606 -0.6630 2.6318 0.129 0.504 -0.258
O -2.4049 -0.3698 5.0441 -0.244 0.038 0.005
O -0.3012 -0.2762 3.8818 -0.526 -0.167 0.421
C 1.1267 4.2467 -0.3233 0.107 -0.056 0.056
N 6.7330 0.3517 -4.7490 0.104 0.003 -0.073
C 2.4559 4.1670 -0.6756 0.147 0.053 -0.087
H 4.3670 3.3029 -0.1926 0.022 -0.008 -0.015
C -6.6524 -1.3306 -1.4543 -0.039 -0.184 -0.150
H -3.8670 -3.0435 -2.2719 0.061 -0.049 -0.010
S -1.7503 0.0506 3.8197 -0.252 -0.707 2.030
C 3.2861 -0.1042 -1.4594 -0.105 0.000 0.030
Tl -1.5553 1.0147 1.1747 -0.503 0.723 -1.187
S -2.1188 -1.3254 -0.9584 -0.402 -0.077 0.075
C 1.4330 -2.4183 2.7333 0.002 0.091 -0.047
C -6.0632 -0.3019 -0.7606 0.077 0.088 0.063
C 1.7472 -0.0194 2.0899 -0.082 0.480 0.396
H -2.8748 -2.0273 1.1738 0.002 -0.200 -0.070
H -6.6659 0.4832 -0.3317 -0.110 0.086 0.067
C 5.7453 0.3909 -4.1577 0.914 -0.069 -0.551

---

No. 2
65
Properties=species:S:1:pos:R:3:forces:R:3 method="wB97M-V/def2-TZVPD" charge=+1 e_tot_ev=-132967.6043 e_lumo_ha="-0.2187 / -0.2185" orbital_gap_ha="0.187 / 0.187" max_force_ev_per_a=2.56
*/
**End of the calculated molecules**
It should be noted, however, that the official stance of the U.S. Food and Drug Administration (FDA) on petitions for health claims concerning green tea is that current evidence does not support these health claims.[6] [7] On the other hand, in 2006 the FDA did approve a green tea based ointment (Veregen, kunecatechin ointment 15%,) adding it to the “Prescription Drug Product List” in October of that year.[8]
Green Tea and Caffeine

Green Teas contain a range from 5 to 40 mg of caffeine per average serving. The average cup of coffee can contain 90 – 150 mg of caffeine, and a can soda around 50 mg or more. The caffeine metabolites found in tea are theophylline and theobromine. While over consumption of caffeine can result in harmful side effects, such as sleep disorders or diuresis (increased urination,) an excessive amount of tea (300 mg of caffeine worth) would be required to create these effects. Some people say that the stimulant effects of tea seem not only milder than coffee, but that they are not as jarring, as though the effects are dosed out over a longer period of time. It is indeed a beverage that seems to promote alertness and mental clarity, while simultaneously producing feelings of relaxation.
For those with caffeine sensitivity, however, note that caffeine content is reduced in later infusions, the majority dispensed in the first infusion. An alternative preparation method is to give the leaves a quick “rinse” in hot water (the same temperature water used for regular infusion) for about 5 seconds, then strain out the tea completely (down the drain.) Now make your “first” infusion for a slightly shorter period of time than recommended. The flavor will be comparable and the caffeine content significantly reduced. There is also Houjcha, whose roasting process greatly reduces caffeine content, and the non-tea alternative, Sobacha (“Buckwheat Tea.”) Teas that are decaffeinated by process may have higher than allowable fluoride levels due to the water used for decaffeination.
Records of molecules, as found in the file =
- - -
*P*
DFT (ωB97M-V/def2-TZVPD) results for a molecular structure, C4H6O2P.

Each line ends with the Löwdin charge.
Cartesian coordinates (Å):
C1 -0.2698 -2.0385 0.0823  -0.02
C2 -0.6126 -0.7888 -0.2920  -0.30
C3 0.6314 0.6330 1.2735  -0.66
C4 0.3126 0.2726 -0.3066  -0.51
O1 0.3544 1.8677 1.3949  -0.22
O2 1.1294 -0.1300 2.1475  -0.07
P1 -0.5195 1.8947 -0.6734  0.78
H1 -1.0640 -2.7193 0.5483  0.06
H2 0.7769 -2.3714 0.0711  0.05
H3 -1.6221 -0.5567 -0.2070  0.06
H4 1.1666 -0.0218 -0.8073  0.08
H5 -0.8231 1.3196 -1.9417  -0.15
H6 0.5398 2.6388 -1.2895  -0.11

Computed properties:
* total charge: -1
* E_HOMO: -4.04 eV
* gap between HOMO and LUMO: 8.329 eV

***

*Q*
DFT (ωB97M-V/def2-TZVPD) results for a molecular structure, C4H6O2P.

Each line ends with the Löwdin charge.
Cartesian coordinates (Å):
C1 -1.1232 -1.4204 0.4914  -0.10
C2 -0.3478 -0.4404 0.7610  -0.38
C3 2.4850 -0.9078 0.0179  -0.65
C4 0.7393 0.0894 -0.0207  -0.60
O1 3.2932 -0.1520 0.4798  -0.05
O2 2.2908 -2.0528 -0.3154  -0.01
P1 1.1266 1.8571 0.0442  0.67
H1 -2.0563 -1.6745 1.1890  0.07
H2 -1.0088 -2.0989 -0.3134  0.03
H3 -0.5326 0.1464 1.7707  0.12
H4 0.4410 0.0165 -1.1911  0.10
H5 2.3104 1.9619 -0.8329  -0.10
H6 1.8527 1.8750 1.3409  -0.10

Computed properties:
* total charge: -1
* E_HOMO: -3.07 eV
* gap between HOMO and LUMO: 7.302 eV

***

Least stable: *Q*

***

*P*
DFT (ωB97M-V/def2-TZVPD) results for a molecular structure, C37H43Cl2N4O2Zr.

Each line ends with the Löwdin charge.
Cartesian coordinates (Å):
Zr1 0.1711 -0.4835 -0.0357  1.65
O1 2.8623 2.3387 1.8491  0.14
C1 2.2008 1.3952 1.5030  -0.43
N1 1.1228 1.3853 0.6311  -0.03
C2 0.7353 2.5806 0.0549  -0.50
O2 0.8624 3.6983 0.4796  0.12
C3 0.0222 2.3774 -1.2712  -0.20
C4 -0.2175 3.4671 -2.0898  0.03
C5 -0.8594 3.2616 -3.2969  -0.01
C6 -1.2553 1.9772 -3.6454  -0.02
C7 -0.9947 0.9414 -2.7712  -0.11
N2 -0.3644 1.1369 -1.6057  -0.04
C8 2.5512 0.0056 1.9632  -0.17
C9 3.5829 -0.1967 2.8576  0.04
C10 3.8449 -1.4914 3.2764  -0.01
C11 3.0620 -2.5282 2.7947  -0.02
C12 2.0458 -2.2442 1.9018  -0.08
N3 1.8037 -0.9960 1.4832  -0.02
H1 0.1069 4.4412 -1.7535  0.13
H2 -1.0530 4.0906 -3.9645  0.12
H3 -1.7586 1.7722 -4.5790  0.12
H4 -1.2887 -0.0732 -3.0038  0.10
H5 4.1442 0.6598 3.2018  0.13
H6 4.6449 -1.6898 3.9769  0.12
H7 3.2261 -3.5497 3.1059  0.12
H8 1.3990 -3.0128 1.5041  0.10
Cl1 -2.0788 2.7550 1.3380  0.67
C13 -3.4085 1.6355 1.1384  -0.91
Cl2 -2.9615 0.2596 0.1006  0.65
H9 -4.2349 2.1472 0.6602  0.04
H10 -3.6786 1.2216 2.1037  0.03
C14 2.7164 -2.1580 -4.6432  -0.04
C15 3.3466 -2.2239 -3.2449  -0.63
C16 4.6354 -1.3921 -3.2079  -0.04
C17 3.6537 -3.6829 -2.8788  -0.04
C18 2.3944 -1.6806 -2.2681  -0.10
C19 1.5927 -1.2461 -1.4612  -0.13
H11 3.4153 -2.5590 -5.3787  0.09
H12 2.4811 -1.1294 -4.9177  0.09
H13 1.7989 -2.7471 -4.6849  0.08
H14 5.3478 -1.7900 -3.9321  0.09
H15 5.0911 -1.4289 -2.2182  0.09
H16 4.4365 -0.3497 -3.4568  0.09
H17 4.3596 -4.0975 -3.6000  0.09
H18 2.7481 -4.2917 -2.8961  0.07
H19 4.0971 -3.7513 -1.8850  0.09
- - -
Green Tea & Milk?
Green tea is not commonly consumed with milk, as is often the case with black tea. But those of you drinking “Matcha Lattes” may want to know about a 2007 Berlin Universities study, published in European Heart Journal, that showed milk’s casein protein binds to the molecules, particularly EGCG, in tea that may be beneficial in protecting against cardiovascular disease.[9] Another 2007 study published in New Scientist suggests similar effects of milk & tea concerning cancer.[10] Plant based “milks;” such as soy, rice, or almond milks, do not contain casein and may be worthy of consideration or further study.
While it is not Charaku’s goal to make claims concerning the potential health benefits from drinking green tea, we are aware that many consumers are initially attracted to green tea for this reason. We hope that this information will provide some background for the interest and research in the possible associations of health and green tea, and that Japanese green tea will become an integral part of a healthy lifestyle for more and more people. Our goal is to promote the enjoyment of Japanese Green Tea for reasons of culinary, physical, cultural, or spiritual health.